• Assignment:
Next, filter the data underneath: keep the lines with the word "Ga1".
• Data:
<<<
No. 1
# Tb2In3Cu, relaxed, DFT PBE-GGA
# Total magnetization ... 0.00 μB per formula unit
# Distance to the lowest polymorph of the same formula ... 0.0 meV/atom
# ΔE_f ... -405 meV per atom
# Symmetry ... P3m1
data_Tb2In3Cu
_chemical_formula_sum 'Tb2 In3 Cu1'
_space_group_name_H-M_alt 'P 1'
_space_group_IT_number 1
_space_group_name_Hall 'P 1'
_cell_length_a 4.720
_cell_length_b 4.720
_cell_length_c 7.505
_cell_angle_alpha 90.00
_cell_angle_beta 90.00
_cell_angle_gamma 120.00
loop_
_atom_site_label
_atom_site_type_symbol
_atom_site_fract_x
_atom_site_fract_y
_atom_site_fract_z
Tb1 Tb 0.000 0.000 0.000
Tb2 Tb 0.000 0.000 0.462
In1 In 0.333 0.667 0.222
In2 In 0.333 0.667 0.789
In3 In 0.667 0.333 0.669
Cu1 Cu 0.667 0.333 0.277

---

No. 2
# CaGa3Co2, relaxed, DFT PBE-GGA
# Total magnetization ... 0.01 μB per formula unit
# ΔE_f ... -379 meV per atom
# Symmetry ... Cmcm
data_CaGa3Co2
_chemical_formula_sum 'Ca2 Ga6 Co4'
_space_group_name_H-M_alt 'P 1'
_space_group_IT_number 1
_space_group_name_Hall 'P 1'
_cell_length_a 6.246
_cell_length_b 6.246
_cell_length_c 5.285
_cell_angle_alpha 90.00
_cell_angle_beta 90.00
_cell_angle_gamma 75.59
loop_
_atom_site_label
_atom_site_type_symbol
_atom_site_fract_x
_atom_site_fract_y
_atom_site_fract_z
Ca1 Ca 0.161 0.839 0.750
Ca2 Ca 0.839 0.161 0.250
Ga1 Ga 0.025 0.586 0.250
Ga2 Ga 0.414 0.975 0.250
Ga3 Ga 0.446 0.554 0.250
Ga4 Ga 0.554 0.446 0.750
Ga5 Ga 0.586 0.025 0.750
Ga6 Ga 0.975 0.414 0.750
Co1 Co 0.299 0.299 0.000
Co2 Co 0.299 0.299 0.500
Co3 Co 0.701 0.701 0.000
Co4 Co 0.701 0.701 0.500

---

No. 3
# Sm4Cr3Fe31, relaxed, DFT PBE-GGA
# Total magnetization ... 59.46 μB per formula unit
# ΔE_f ... 36 meV per atom
# Symmetry ... Cm
data_Sm4Cr3Fe31
_chemical_formula_sum 'Sm4 Cr3 Fe31'
_space_group_name_H-M_alt 'P 1'
_space_group_IT_number 1
_space_group_name_Hall 'P 1'
_cell_length_a 6.394
_cell_length_b 6.394
_cell_length_c 12.832
_cell_angle_alpha 97.51
_cell_angle_beta 97.51
_cell_angle_gamma 82.47
loop_
_atom_site_label
_atom_site_type_symbol
_atom_site_fract_x
_atom_site_fract_y
_atom_site_fract_z
Sm1 Sm 0.000 0.000 0.000
Sm2 Sm 0.002 0.002 0.497
Sm3 Sm 0.312 0.312 0.342
Sm4 Sm 0.316 0.316 0.842
Cr1 Cr 0.569 0.569 0.215
Cr2 Cr 0.745 0.745 0.126
Cr3 Cr 0.749 0.749 0.624
Fe1 Fe 0.155 0.657 0.670
Fe2 Fe 0.157 0.656 0.171
Fe3 Fe 0.315 0.812 0.841
Fe4 Fe 0.316 0.316 0.592
Fe5 Fe 0.317 0.811 0.341
Fe6 Fe 0.318 0.318 0.094
Fe7 Fe 0.359 0.953 0.671
Fe8 Fe 0.361 0.655 0.524
Fe9 Fe 0.362 0.656 0.025
Fe10 Fe 0.362 0.950 0.171
Fe11 Fe 0.501 0.995 0.500
Fe12 Fe 0.502 0.997 0.002
Fe13 Fe 0.565 0.565 0.718
Fe14 Fe 0.655 0.361 0.524
Fe15 Fe 0.655 0.950 0.819
Fe16 Fe 0.656 0.157 0.171
Fe17 Fe 0.656 0.362 0.025
Fe18 Fe 0.656 0.656 0.420
Fe19 Fe 0.657 0.155 0.670
Fe20 Fe 0.657 0.657 0.923
Fe21 Fe 0.657 0.950 0.317
Fe22 Fe 0.811 0.317 0.341
Fe23 Fe 0.812 0.315 0.841
Fe24 Fe 0.950 0.362 0.171
Fe25 Fe 0.950 0.655 0.819
Fe26 Fe 0.950 0.657 0.317
Fe27 Fe 0.953 0.359 0.671
Fe28 Fe 0.995 0.501 0.500
Fe29 Fe 0.995 0.995 0.247
Fe30 Fe 0.996 0.996 0.748
Fe31 Fe 0.997 0.502 0.002

---

No. 4
# Mg4CdAg5, relaxed, DFT PBE-GGA
# ΔE_f ... -219 meV per atom
# Symmetry ... P4/mmm
data_Mg4CdAg5
_chemical_formula_sum 'Mg4 Cd1 Ag5'
_space_group_name_H-M_alt 'P 1'
_space_group_IT_number 1
_space_group_name_Hall 'P 1'
_cell_length_a 3.273
_cell_length_b 3.273
_cell_length_c 17.530
_cell_angle_alpha 90.00
_cell_angle_beta 90.00
_cell_angle_gamma 90.00
loop_
_atom_site_label
_atom_site_type_symbol
_atom_site_fract_x
_atom_site_fract_y
_atom_site_fract_z
Mg1 Mg 0.000 0.000 0.100
Mg2 Mg 0.000 0.000 0.300
Mg3 Mg 0.000 0.000 0.700
Mg4 Mg 0.000 0.000 0.900
Cd1 Cd 0.000 0.000 0.500
Ag1 Ag 0.500 0.500 0.000
Ag2 Ag 0.500 0.500 0.200
Ag3 Ag 0.500 0.500 0.396
Ag4 Ag 0.500 0.500 0.604
Ag5 Ag 0.500 0.500 0.800

---

No. 5
# TbB12, relaxed, DFT PBE-GGA
# ΔE_f ... -248 meV per atom
# Symmetry ... Fm-3m
data_TbB12
_chemical_formula_sum 'Tb1 B12'
_space_group_name_H-M_alt 'P 1'
_space_group_IT_number 1
_space_group_name_Hall 'P 1'
>>>
• Completed:
Ga1 Ga 0.025 0.586 0.250